Sugar And Tooth Decay
**Calculated crystals, as found in the file:**
Record 1
The following is a PBE-GGA calculation of a geometry-optimized LiBi3Cl2O4 structure, from the Materials Project.

Properties
**E_tot**: -5.112 eV/atom
**Offset from the most stable computed form**: 0.005 eV per atom
**Theoretical density**: 6.80 g/cm3

Cell lengths 6.7606, 6.7606, 5.5143 Å; angles 90.00, 90.00, 131.87 degrees
Closest atoms and distances in Å follow each position.
Fractional positions:
O1 0.0006 0.5062 0.7524  1 Li 2.06, 3 Bi 2.25-2.28
O2 0.4938 0.9994 0.7524  1 Li 2.06, 3 Bi 2.25-2.28
O3 0.0006 0.5062 0.2476  1 Li 2.06, 3 Bi 2.25-2.28
O4 0.4938 0.9994 0.2476  1 Li 2.06, 3 Bi 2.25-2.28
Bi1 0.1530 0.8470 0.0000  4 O 2.25
Bi2 0.8397 0.1603 0.0000  4 O 2.26
Bi3 0.3431 0.6569 0.5000  4 O 2.28
Cl1 0.9835 0.0165 0.5000  6 Bi 3.26-3.46, 1 Li 3.51, 4 O 3.52
Cl2 0.4933 0.5067 0.0000  6 Bi 3.32-3.39, 8 O 3.60-3.69
Li1 0.6988 0.3012 0.5000  4 O 2.06


Record 2
The following is a PBE-GGA calculation of a geometry-optimized LiBi3Cl2O4 structure, from the Materials Project.

Properties
**E_tot**: -5.117 eV/atom
**Offset from the most stable computed form**: 0.000 eV per atom
**Theoretical density**: 6.79 g/cm3

Cell lengths 6.8007, 6.8007, 10.9775 Å; angles 90.00, 90.00, 132.20 degrees
Closest atoms and distances in Å follow each position.
Fractional positions:
O1 0.9961 0.5115 0.3763  1 Li 2.05, 3 Bi 2.25-2.28
O2 0.5115 0.9961 0.8763  1 Li 2.05, 3 Bi 2.25-2.28
O3 0.4885 0.0039 0.1237  1 Li 2.05, 3 Bi 2.25-2.28
O4 0.4885 0.0039 0.3763  1 Li 2.05, 3 Bi 2.25-2.28
O5 0.9961 0.5115 0.1237  1 Li 2.05, 3 Bi 2.25-2.28
O6 0.0039 0.4885 0.8763  1 Li 2.05, 3 Bi 2.25-2.28
O7 0.5115 0.9961 0.6237  1 Li 2.05, 3 Bi 2.25-2.28
O8 0.0039 0.4885 0.6237  1 Li 2.05, 3 Bi 2.25-2.28
Bi1 0.6572 0.3428 0.9936  4 O 2.25-2.26
Bi2 0.8544 0.1456 0.7500  4 O 2.28
Bi3 0.1456 0.8544 0.2500  4 O 2.28
Bi4 0.6572 0.3428 0.5064  4 O 2.25-2.26
Bi5 0.3428 0.6572 0.4936  4 O 2.25-2.26
Bi6 0.3428 0.6572 0.0064  4 O 2.25-2.26
Cl1 0.0000 0.0000 0.0000  6 Bi 3.29-3.38, 4 O 3.57
Cl2 0.4864 0.5136 0.7500  6 Bi 3.21-3.42, 1 Li 3.42, 4 O 3.46
Cl3 0.0000 0.0000 0.5000  6 Bi 3.29-3.38, 4 O 3.57
Cl4 0.5136 0.4864 0.2500  6 Bi 3.21-3.42, 1 Li 3.42, 4 O 3.46
Li1 0.7884 0.2116 0.2500  4 O 2.05
Li2 0.2116 0.7884 0.7500  4 O 2.05


Record 3
The following is a PBE-GGA calculation of a geometry-optimized Rb2LiBiCl6 structure, from the Materials Project.

Properties
**E_tot**: -3.449 eV/atom
**Theoretical density**: 3.32 g/cm3

Cell lengths 7.5152, 7.5152, 7.5152 Å; angles 60.00, 60.00, 60.00 degrees
Closest atoms and distances in Å follow each position.
Fractional positions:
Cl1 0.7445 0.2555 0.7445  1 Li 2.60, 1 Bi 2.72
Cl2 0.7445 0.7445 0.2555  1 Li 2.60, 1 Bi 2.72
Cl3 0.2555 0.2555 0.7445  1 Li 2.60, 1 Bi 2.72
Cl4 0.7445 0.2555 0.2555  1 Li 2.60, 1 Bi 2.72
Cl5 0.2555 0.7445 0.7445  1 Li 2.60, 1 Bi 2.72
Cl6 0.2555 0.7445 0.2555  1 Li 2.60, 1 Bi 2.72
Rb1 0.7500 0.7500 0.7500  12 Cl 3.76
Rb2 0.2500 0.2500 0.2500  12 Cl 3.76
Li1 0.5000 0.5000 0.5000  6 Cl 2.60
Now, here's where purpose is to see problem has play. The forces build, the veins contained your market tooth's nerve tissue become compressed. Enhance the effect this is how the blood flow to the pulp becomes restricted. So, those necessary duties that the circulatory system provides (carrying oxygen and nutrients towards the pulp, carrying away excess fluids) are inhibited. To be a result, the nerve tissue's ability to rebound healthily from the insult is compromised. Regarding most extreme cases, the nerve tissue will die.
If you've lost a tooth, you'll ideally think it is right away, clean it with your saliva, and hang it right back in its "socket". Place the tooth back where it belongs, and next you should lightly clamp down on a damp cloth fabric. This will not only help to hang your tooth in its proper place, but will help to stop any bleeding as really. Get this done as quickly as you can, and then on to your website to an unexpected Ottawa dentist immediately.
## Between two parts of the article: records of crystals
~~~
1.
The following is a DFT calculation (r2SCAN) of crystalline YbPmHg2 at its relaxed geometry.

raw total energy: -41.762 eV/atom

Structure (POSCAR):
```
YbPmHg2
1.0
0.000 3.715 3.715
3.715 0.000 3.715
3.715 3.715 0.000
Yb Pm Hg
1 1 2
direct
0.000 0.000 0.000
0.500 0.500 0.500
0.250 0.250 0.250
0.750 0.750 0.750
```


2.
The following is a DFT calculation (r2SCAN) of crystalline DyTmRh2 at its relaxed geometry.

raw total energy: -29.830 eV/atom

Structure (POSCAR):
```
DyTmRh2
1.0
0.000 3.380 3.380
3.380 0.000 3.380
3.380 3.380 0.000
Dy Tm Rh
1 1 2
direct
0.000 0.000 0.000
0.500 0.500 0.500
0.250 0.250 0.250
0.750 0.750 0.750
```


3.
The following is a DFT calculation (r2SCAN) of crystalline CaCdPt at its relaxed geometry.

raw total energy: -27.004 eV/atom

Structure (POSCAR):
```
CaCdPt
1.0
7.250 0.000 0.000
0.000 4.306 0.000
0.000 0.000 8.541
Ca Cd Pt
4 4 4
direct
0.035 0.250 0.177
0.465 0.750 0.677
0.535 0.250 0.323
0.965 0.750 0.823
0.143 0.250 0.563
0.357 0.750 0.063
0.643 0.250 0.937
0.857 0.750 0.437
0.241 0.750 0.372
0.259 0.250 0.872
0.741 0.750 0.128
0.759 0.250 0.628
```


4.
The following is a DFT calculation (r2SCAN) of crystalline Na2U2O7 at its relaxed geometry.

ΔE to the lowest computed polymorph: 0.050 eV per formula unit

Structure (POSCAR):
```
Na2U2O7
1.0
6.387 0.000 0.000
0.000 7.814 0.000
-2.474 0.000 6.411
Na U O
4 4 14
direct
0.000 0.000 0.000
0.000 0.500 0.000
0.014 0.249 0.492
0.986 0.749 0.508
0.495 0.249 0.964
0.500 0.499 0.499
0.500 0.999 0.501
0.505 0.749 0.036
0.185 0.249 0.867
0.186 0.524 0.397
0.186 0.974 0.400
0.192 0.750 0.928
0.448 0.249 0.612
0.480 0.046 0.181
0.480 0.456 0.177
0.520 0.546 0.819
0.520 0.956 0.823
0.552 0.749 0.388
0.808 0.250 0.072
0.814 0.024 0.603
0.814 0.474 0.600
0.815 0.749 0.133
```


5.
The following is a DFT calculation (r2SCAN) of crystalline MgO at its relaxed geometry.

raw total energy: -7.926 eV/atom

Structure (POSCAR):
```
MgO
1.0
3.251 0.000 0.000
-1.625 2.815 0.000
0.000 0.000 10.386
Mg O
4 4
direct
0.000 0.000 0.000
0.000 0.000 0.500
0.333 0.667 0.249
0.667 0.333 0.749
0.000 0.000 0.308
0.000 0.000 0.808
0.333 0.667 0.059
0.667 0.333 0.559
```


6.
The following is a DFT calculation (r2SCAN) of crystalline La4Os6O19 at its relaxed geometry.

raw total energy: -21.051 eV/atom

Structure (POSCAR):
```
La4Os6O19
1.0
-4.530 4.533 4.533
4.530 -4.533 4.533
4.530 4.533 -4.533
La Os O
4 6 19
direct
0.182 0.182 0.683
0.499 0.499 0.317
0.501 0.818 0.000
0.818 0.501 0.000
0.000 0.364 0.364
0.000 0.636 0.636
0.136 0.000 0.136
0.365 0.865 0.500
0.635 0.135 0.500
0.864 0.000 0.864
0.126 0.866 0.306
0.135 0.761 0.940
0.178 0.178 0.000
0.178 0.500 0.678
0.179 0.239 0.374
0.195 0.560 0.322
0.238 0.873 0.678
0.440 0.134 0.260
0.500 0.177 0.677
0.500 0.500 0.000
0.500 0.823 0.323
0.560 0.820 0.694
0.762 0.440 0.635
0.805 0.127 0.365
0.821 0.196 0.060
0.822 0.500 0.322
0.822 0.822 0.000
0.865 0.804 0.626
0.874 0.180 0.740
```


7.
~~~
## Back to the article

As far as a young girl is concerned, brushing two times a day is more important than adults. At this age you have to take caution of your teeth. The enamel with the teeth might wear below. When the enamel wears off, the tooth becomes juicy. The inner layer ie dentine is exposed.
When you return for one's second visit, the dentist will set out to carry out treatments over your tooth that he suggested on first go to. To patch down the hole the particular tooth he will place some silver in them. The only problem with is that always silver isn't permanent as it is probably that in a number of months from now, there's always something good be sat in the precise same chair as the piece of silver has fallen out half way through your dinner. The upsetting thing here might be the fact your dentist may blame you for your silver dropping out say that have messed around cuts down on the too much, anyway in this scenario he or she decide to be able to the tooth out and issue you with another bill. This bill certainly not had happened if he pulled really out upon the first have a look at. whitening products - we all want a happier, whiter smile, but at legal action of sensitive teeth. Most users of tooth whiteners complain more sensitivity of his or her teeth.
People with any from the advanced swellings, in bad case scenarios, are at an increased risk for passing away. Although rare, these examples are given so that tooth aches and infected teeth aren't taken flippantly. A quick hospital visit is essential.
[What comes next are records of crystals, not part of the article]
~~~
1.
# Mo2N3 PBE relaxed
data_Mo2N3
_chemical_formula_sum 'Mo8 N12'
_space_group_name_H-M_alt 'P -1'
_space_group_IT_number 2
_space_group_name_Hall '-P 1'
_cell_length_a 5.816
_cell_length_b 6.125
_cell_length_c 10.354
_cell_angle_alpha 77.25
_cell_angle_beta 76.11
_cell_angle_gamma 86.12
loop_
_atom_site_label
_atom_site_type_symbol
_atom_site_fract_x
_atom_site_fract_y
_atom_site_fract_z
Mo1 Mo 0.069 0.466 0.348
Mo2 Mo 0.119 0.099 0.694
Mo3 Mo 0.329 0.155 0.198
Mo4 Mo 0.412 0.285 0.825
N1 N 0.007 0.811 0.697
N2 N 0.095 0.293 0.532
N3 N 0.099 0.348 0.798
N4 N 0.373 0.220 0.012
N5 N 0.387 0.456 0.245
N6 N 0.436 0.027 0.724
# electronic total energy	-47.1	eV per formula unit
# formation energy	-0.290	eV per atom
# crystal system	triclinic
# size of the total moment	0.00	μB/cell

=====

2.
# CeMn2Ge2 PBE relaxed
data_CeMn2Ge2
_chemical_formula_sum 'Ce2 Mn4 Ge4'
_space_group_name_H-M_alt 'I 4/m m m'
_space_group_IT_number 139
_space_group_name_Hall '-I 4 2'
_cell_length_a 3.994
_cell_length_b 3.994
_cell_length_c 10.828
_cell_angle_alpha 90.00
_cell_angle_beta 90.00
_cell_angle_gamma 90.00
loop_
_atom_site_label
_atom_site_type_symbol
_atom_site_fract_x
_atom_site_fract_y
_atom_site_fract_z
Ce1 Ce 0.000 0.000 0.000
Mn1 Mn 0.000 0.500 0.250
Ge1 Ge 0.000 0.000 0.379
# electronic total energy	-35.8	eV per formula unit
# formation energy	-0.452	eV per atom
# crystal system	tetragonal

=====

3.
# GdBiPd PBE relaxed
data_GdBiPd
_chemical_formula_sum 'Gd4 Bi4 Pd4'
_space_group_name_H-M_alt 'F -4 3 m'
_space_group_IT_number 216
_space_group_name_Hall 'F -4 2 3'
_cell_length_a 6.825
_cell_length_b 6.825
_cell_length_c 6.825
_cell_angle_alpha 90.00
_cell_angle_beta 90.00
_cell_angle_gamma 90.00
loop_
_atom_site_label
_atom_site_type_symbol
_atom_site_fract_x
_atom_site_fract_y
_atom_site_fract_z
Gd1 Gd 0.000 0.000 0.000
Bi1 Bi 0.000 0.000 0.500
Pd1 Pd 0.250 0.250 0.250
# electronic total energy	-26.0	eV per formula unit
# formation energy	-0.938	eV per atom
# crystal system	cubic

=====

4.
# Gd2Mn17C3 PBE relaxed
data_Gd2Mn17C3
_chemical_formula_sum 'Gd6 Mn51 C9'
_space_group_name_H-M_alt 'R -3 m'
_space_group_IT_number 166
_space_group_name_Hall '-R 3 2"'
_cell_length_a 8.6030
_cell_length_b 8.6030
_cell_length_c 12.4951
_cell_angle_alpha 90.00
_cell_angle_beta 90.00
_cell_angle_gamma 120.00
loop_
_atom_site_label
_atom_site_type_symbol
_atom_site_fract_x
_atom_site_fract_y
_atom_site_fract_z
Gd1 Gd 0.0000 0.0000 0.1502
Mn1 Mn 0.0000 0.0000 0.4064
Mn2 Mn 0.0000 0.2790 0.5000
Mn3 Mn 0.0000 0.5000 0.0000
Mn4 Mn 0.0192 0.5096 0.3480
C1 C 0.0000 0.5000 0.5000
# electronic total energy	-203.4	eV per formula unit
# formation energy	0.371	eV per atom
# crystal system	trigonal
# size of the total moment	23.06	μB/cell

----------

MnTlI3 after structural relaxation, computed with PBE.

Geometry as POSCAR:
```
MnTlI3
1.0
10.240 0.000 0.000
0.000 4.323 0.000
0.000 0.000 16.431
Mn Tl I
4 4 12
Direct
0.162 0.250 0.056 Mn
0.338 0.750 0.556 Mn
0.662 0.250 0.444 Mn
~~~
A cracked tooth cannot heal again. At first a crack can be small and unobtrusive. With no it remains untreated, the crack may progress further across really or deeper into really. Therefore, quicker the crack can be treated, tougher likely quite can be saved.